Source =
{"formula": "BaZnTe2N", "functional": "GGA-PBEsol", "state": "optimized geometry", "final_energy_ev_per_atom": -2.755, "e_form_raw_kj_per_mol_fu": 534, "space_group": "P4/mmm", "magmom_total_mub_per_atom": 0.860, "cell": [[6.5532, 0.0000, 0.0000], [0.0000, 6.5532, 0.0000], [0.0000, 0.0000, 5.0944]], "species": ["Ba", "Zn", "Te", "Te", "N"], "frac_coords": [[0.0000, 0.0000, 0.0000], [0.5000, 0.5000, 0.5000], [0.0000, 0.5000, 0.0000], [0.5000, 0.0000, 0.0000], [0.0000, 0.0000, 0.5000]]}

***

{"formula": "BaTi3N", "functional": "GGA-PBEsol", "state": "optimized geometry", "final_energy_ev_per_atom": -4.302, "e_form_raw_kj_per_mol_fu": 1364, "space_group": "Pm-3m", "magmom_total_mub_per_atom": 0.340, "cell": [[4.8628, 0.0000, 0.0000], [0.0000, 4.8628, 0.0000], [0.0000, 0.0000, 4.8628]], "species": ["Ba", "Ti", "Ti", "Ti", "N"], "frac_coords": [[0.0000, 0.0000, 0.0000], [0.0000, 0.0000, 0.5000], [0.0000, 0.5000, 0.0000], [0.5000, 0.0000, 0.0000], [0.5000, 0.5000, 0.5000]]}

***

{"formula": "BaTlN3", "functional": "GGA-PBEsol", "state": "optimized geometry", "final_energy_ev_per_atom": -4.899, "e_form_raw_kj_per_mol_fu": 566, "space_group": "Pm-3m", "magmom_total_mub_per_atom": 0.621, "cell": [[4.4131, 0.0000, 0.0000], [0.0000, 4.4131, 0.0000], [0.0000, 0.0000, 4.4131]], "species": ["Ba", "Tl", "N", "N", "N"], "frac_coords": [[0.0000, 0.0000, 0.0000], [0.5000, 0.5000, 0.5000], [0.0000, 0.5000, 0.5000], [0.5000, 0.0000, 0.5000], [0.5000, 0.5000, 0.0000]]}

***

{"formula": "BaTlN3", "functional": "GGA-PBEsol", "state": "optimized geometry", "final_energy_ev_per_atom": -4.111, "e_form_raw_kj_per_mol_fu": 946, "space_group": "Pm-3m", "magmom_total_mub_per_atom": 1.200, "cell": [[5.0917, 0.0000, 0.0000], [0.0000, 5.0917, 0.0000], [0.0000, 0.0000, 5.0917]], "species": ["Ba", "Tl", "N", "N", "N"], "frac_coords": [[0.0000, 0.0000, 0.0000], [0.5000, 0.5000, 0.5000], [0.0000, 0.0000, 0.5000], [0.0000, 0.5000, 0.0000], [0.5000, 0.0000, 0.0000]]}

***

{"formula": "Ba3V2N4", "functional": "GGA-PBEsol", "state": "optimized geometry", "final_energy_ev_per_atom": -7.652, "e_form_raw_kj_per_mol_fu": -873, "space_group": "Imma", "magmom_total_mub_per_atom": 0.000, "cell": [[-2.8892, 7.9416, 3.8724], [2.8892, -7.9416, 3.8724], [2.8892, 7.9416, -3.8724]], "species": ["Ba", "Ba", "Ba", "Ba", "Ba", "Ba", "V", "V", "V", "V", "N", "N", "N", "N", "N", "N", "N", "N"], "frac_coords": [[0.1732, 0.4232, 0.7500], [0.1816, 0.0680, 0.1136], [0.4543, 0.0680, 0.3864], [0.5457, 0.9320, 0.6136], [0.8184, 0.9320, 0.8864], [0.8268, 0.5768, 0.2500], [0.1013, 0.6430, 0.4582], [0.3152, 0.3570, 0.9582], [0.6848, 0.6430, 0.0418], [0.8987, 0.3570, 0.5418], [0.1605, 0.5843, 0.5762], [0.1605, 0.0000, 0.6605], [0.1605, 0.5000, 0.1605], [0.4918, 0.4157, 0.0762], [0.5082, 0.5843, 0.9238], [0.8395, 0.0000, 0.3395], [0.8395, 0.5000, 0.8395], [0.8395, 0.4157, 0.4238]]}

***
Exercise =
The reader should say how many lines of the material earlier on hold the word "state", as a bare number.
Done =
5